In a January interview with Illinois Issues magazine, Illinois House Speaker Michael Madigan listed telecommunications reform as one of his top priorities for the current session. That’s good, because given the rapid change in the industry, delay would be unwise.
Illinois’ consumers and businesses risk missing out on the revolution in telecommunications taking place around the country and around the world. A telecom reform bill is currently being debated in the House, although much of the talk seems focused not on the content of reform, but whether the vote ought to be delayed for another year.
Unfortunately, Speaker Madigan has a troublesome misunderstanding of the telecom industry. “Why couldn’t we follow the model that we followed in electric utility deregulation, where, in essence, we made Commonwealth Edison and the other distribution companies common carriers and took them out of the generation business?” he asked his interviewer in January.
In Speaker Madigan’s scenario, SBC–and by logical extension any other major facilities-based telecom service provider in Illinois–would be divided into independent wholesale and retail arms. The wholesale arm would likely own the switching and transmission facilities. The retail arm would be responsible for marketing and selling service to customers. This is called “structural separation.”
There are several reasons why Madigan’s proposal is unworkable. For delivering electricity, the wholesale/retail approach makes sense because only a single infrastructure, unlikely to be duplicated, is in place. Large swaths of the country are served by single homogenous grids, sections of which are owned by local power companies.
The telecommunications industry is very different. Multiple national and local telecom networks cris-cross the nation and reach into our neighborhoods. The supply chain is diverse and ever-shifting. Consumers have choices … and service providers do, too. They can turn to many competing vendors for telephone, television, Internet access, and new services that combine and blend elements of all three services.
It’s difficult for policymakers to accept the breathless cries of “telecom monopoly!” from various interest groups when at the end of the day they call their family on a Verizon cell phone, drive home with the aid of a GM satellite navigation system, download their email from AOL, Yahoo, or MSN, and watch television with Comcast cable or a DirecTV satellite dish.
Besides competition among different technologies (called cross-platform competition), there is fierce competition based on differentiation of service. For example, Comcast, a facilities-based cable TV provider, has a strategic agreement with Microsoft and Gemstar-TV Guide to improve the functionality and features of its digital video recorders (DVRs). Comcast seeks to provide new applications and a better user experience, with the ultimate aim of attracting more customers.
If Speaker Madigan has his way and a new law decrees a structural separation between telecommunications service providers and owners of the underlying network, it’s unlikely Comcast would be able to bring the improved technology to Illinois. The value of these improvements depends on Comcast’s ability to leverage its ownership of the underlying network technology.
PmAl4Fe: theoretical powder diffraction line list (a wavelength of 1.5418 Å), based on a GGA-PBE-relaxed structure.
Kinematic intensities with the Lorentz-polarization factor, no thermal factor.

Main lines, low angle first (10° ≤ 2θ ≤ 90°):
| 2theta | I/Imax | h k l |
| --- | --- | --- |
| 22.00 | 450 | 0 1 0 |
| 23.27 | 510 | 2 0 0 |
| 28.55 | 534 | 1 0 2 |
| 32.24 | 521 | 2 1 0 |
| 34.86 | 543 | 2 1 1 |
| 36.33 | 1000 | 1 1 2 |

Cell lengths 7.645, 4.041, 6.852 Å; angles 90.00, 90.00, 90.00 degrees
Space group Pmma (No. 51)
Asymmetric unit:
Pm: 0.250 0.000 0.121 x2
Al: 0.000 0.000 0.500 x2
Al: 0.071 0.500 0.803 x4
Al: 0.250 0.500 0.463 x2
Fe: 0.250 0.000 0.689 x2

PrAl8Fe2: theoretical powder diffraction line list (a wavelength of 1.5418 Å), based on a GGA-PBE-relaxed structure.
Kinematic intensities with the Lorentz-polarization factor, no thermal factor.

Main lines, low angle first (10° ≤ 2θ ≤ 90°):
| 2theta | I/Imax | h k l |
| --- | --- | --- |
| 22.19 | 931 | 0 0 1 |
| 34.16 | 867 | 1 4 1 |
| 36.26 | 1000 | 3 3 1 |
| 37.01 | 430 | 4 1 1 |
| 45.20 | 516 | 0 0 2 |
| 46.31 | 411 | 2 7 0 |

Cell lengths 12.489, 14.454, 4.012 Å; angles 90.00, 90.00, 90.00 degrees
Space group Pbam (No. 55)
Asymmetric unit:
Pr: 0.161 0.182 0.000 x4
Al: 0.000 0.000 0.000 x2
Al: 0.000 0.500 0.500 x2
Al: 0.027 0.868 0.500 x4
Al: 0.047 0.322 0.500 x4
Al: 0.094 0.747 0.000 x4
Al: 0.158 0.620 0.500 x4
Al: 0.162 0.454 0.000 x4
Al: 0.168 0.007 0.500 x4
Al: 0.235 0.830 0.500 x4
Fe: 0.035 0.593 0.000 x4
Fe: 0.150 0.902 0.000 x4

Pr3AlFeS7: theoretical powder diffraction line list (a wavelength of 1.5418 Å), based on a GGA-PBE-relaxed structure.
Kinematic intensities with the Lorentz-polarization factor, no thermal factor.

Main lines, low angle first (10° ≤ 2θ ≤ 90°):
| 2theta | I/Imax | h k l |
| --- | --- | --- |
| 17.90 | 668 | 0 1 1 |
| 22.99 | 491 | 1 1 1 |
| 25.15 | 1000 | 0 1 2 |
| 25.22 | 502 | 2 1 -2 |
| 36.27 | 706 | 2 2 -2 |
| 40.12 | 446 | 4 1 -1 |

Cell lengths 10.071, 6.009, 10.115 Å; angles 90.00, 119.71, 90.00 degrees
Space group P2_1 (No. 4)
Asymmetric unit:
Pr: 0.127 0.000 0.359 x2
Pr: 0.267 0.500 0.123 x2
Pr: 0.360 0.500 0.732 x2
Al: 0.167 0.920 0.833 x2
Fe: 0.500 0.281 0.500 x2
S: 0.017 0.773 0.919 x2
S: 0.081 0.773 0.599 x2
S: 0.166 0.289 0.832 x2
S: 0.268 0.545 0.409 x2
S: 0.355 0.045 0.264 x2
S: 0.402 0.773 0.981 x2
S: 0.411 0.044 0.643 x2

AlFeRe6: theoretical powder diffraction line list (a wavelength of 1.5418 Å), based on a GGA-PBE-relaxed structure.
Kinematic intensities with the Lorentz-polarization factor, no thermal factor.

Main lines, low angle first (10° ≤ 2θ ≤ 90°):
| 2theta | I/Imax | h k l |
| --- | --- | --- |
| 21.44 | 617 | 2 0 0 |
| 37.60 | 1000 | 2 2 2 |
| 43.69 | 590 | 4 0 0 |
| 47.84 | 282 | 3 3 1 |
| 57.81 | 321 | 3 3 3 |
| 63.50 | 304 | 4 4 0 |

Cell lengths 8.287, 8.287, 8.287 Å; angles 90.00, 90.00, 90.00 degrees
Space group F-43m (No. 216)
Asymmetric unit:
Al: 0.000 0.000 0.000 x4
Fe: 0.250 0.250 0.250 x4
So while our Indiana neighbors would get DVRs and video-on-demand with graphical menus and pushbutton programming, we in Illinois would be stuck with 10-year-old VCRs still flashing 12:00.
In a competitive market, consumers benefit most when competitors are free to make their own business decisions, form alliances, and develop unique and differentiated services. That’s why it’s so frustrating to see legislators floating regulatory “solutions” that approach the telecom industry as if innovation and change were problems to be solved or prevented, rather than key factors in the future growth and competitiveness of Illinois and the U.S.
Legislators are consumers, too, which may help explain why they appear to be gridlocked on reform. No matter where they stand politically, they sense the disconnect between the rhetoric of lobbyists and their everyday experiences.
That’s why I hope Speaker Madigan was just musing when he suggested restructuring the Illinois telecom industry. It would be a pointless attempt to keep a rapidly changing industry heavily regulated and compartmentalized. The Speaker’s plan would treat telecom service as if it were a uniform, non-configurable, one-size-fits-all commodity instead of the most rapidly changing and most competitive sector of the U.S. economy.
In today’s market, where consumers can buy a wide variety of voice, data, and entertainment services in almost any combination and at a wide range of prices, there is simply no reason to go back to the old days of price controls and subsidies.
Steven Titch ([email protected]) is senior fellow for IT and telecom policy at The Heartland Institute and managing editor of IT&T News.